[Work order]
Restate the rows underneath from the line with "5.141)" to the end verbatim.

[Contents]
┌──
1.
Below is a cluster of 8 separate species, C13H36Cl6O5 in total at a distorted geometry, with properties calculated with wB97M-V/def2-TZVPD.

HOMO energy in eV: -10.28
Orbital gap in Ha: 0.396
SMILES: ClCCl.ClCCl.ClCCl.CCO.CCO.CCO.CCO.CCO

Element x y z (Å)
C (0.245, 2.137, 3.451)
C (0.364, 0.755, 2.812)
O (-0.712, 0.555, 1.826)
H (1.114, 2.344, 4.156)
H (-0.602, 2.301, 4.092)
H (0.263, 2.958, 2.742)
H (0.284, -0.095, 3.533)
H (1.292, 0.688, 2.317)
H (-0.702, -0.411, 1.756)
C (-2.628, -1.318, -0.079)
C (-3.757, -1.678, 0.862)
O (-3.550, -3.046, 1.291)
H (-1.671, -1.537, 0.384)
H (-2.624, -0.284, -0.271)
H (-2.747, -1.988, -0.957)
H (-4.715, -1.544, 0.347)
H (-3.742, -0.933, 1.707)
H (-4.048, -3.187, 2.092)
C (-0.355, -3.025, 4.426)
C (-1.791, -2.546, 4.825)
O (-2.170, -1.368, 4.056)
H (-0.352, -4.051, 4.177)
H (0.477, -2.763, 5.141)
H (-0.211, -2.429, 3.529)
H (-1.954, -2.412, 5.867)
H (-2.459, -3.247, 4.349)
H (-1.547, -0.715, 4.402)
C (-2.737, 2.440, -0.404)
C (-1.285, 2.876, -0.666)
O (-0.378, 1.774, -0.592)
H (-3.267, 3.362, -0.681)
H (-2.951, 2.181, 0.645)
H (-3.167, 1.628, -0.981)
H (-0.972, 3.627, 0.087)
H (-1.177, 3.327, -1.641)
H (-0.354, 1.522, 0.370)
C (2.106, 3.449, -2.291)
C (3.132, 2.483, -1.684)
O (2.530, 1.396, -1.050)
H (1.490, 3.892, -1.515)
H (1.486, 2.802, -2.812)
H (2.537, 4.179, -3.006)
H (3.819, 3.014, -1.008)
H (3.671, 2.049, -2.525)
H (1.681, 1.722, -0.801)
C (5.132, -0.133, -1.912)
Cl (6.805, -0.779, -1.772)
Cl (4.126, -1.305, -2.805)
H (4.620, 0.112, -0.998)
H (5.266, 0.817, -2.523)
C (0.100, -2.480, -7.247)
Cl (-0.861, -0.993, -7.037)
Cl (1.608, -2.310, -8.107)
H (0.268, -2.841, -6.290)
H (-0.512, -3.194, -7.804)
C (1.024, -1.376, -1.237)
Cl (1.729, -1.611, 0.440)
Cl (1.063, -3.014, -2.045)
H (-0.003, -1.103, -1.285)
H (1.768, -0.678, -1.656)

Atom charges from the natural (NBO) analysis, given in e for atoms 1 to 6: number 1, C, carries -0.640; number 2, C, carries -0.072; number 3, O, carries -0.751; number 4, H, carries 0.219; number 5, H, carries 0.214; number 6, H, carries 0.215

---

2.
Below is a structure of composition C39H50AsF6N8O4 at a distorted geometry, with properties calculated with wB97M-V/def2-TZVPD.

HOMO energy in eV: -20.50
Orbital gap in Ha: 0.251
Charge: +5

Element x y z (Å)
N (9.310, 0.917, 2.198)
O (10.450, 1.154, 1.782)
O (9.126, -0.107, 2.722)
O (8.452, 1.689, 1.976)
C (11.931, 4.990, 1.724)
C (11.301, 3.942, 0.787)
O (11.891, 3.649, -0.227)
N (9.950, 3.387, 1.248)
H (10.221, 2.491, 1.625)
H (9.626, 3.932, 2.034)
C (8.801, 3.279, 0.217)
H (11.195, 5.721, 2.058)
H (12.756, 5.540, 1.271)
H (12.404, 4.352, 2.470)
H (8.535, 4.283, -0.114)
H (7.958, 2.756, 0.667)
H (9.202, 2.814, -0.684)
C (9.911, -2.915, 4.594)
N (10.854, -1.904, 3.957)
C (10.715, -0.648, 4.346)
C (11.538, 0.350, 3.934)
C (12.429, 0.114, 2.842)
C (12.666, -1.182, 2.489)
C (11.782, -2.188, 3.032)
C (13.048, 1.205, 2.008)
C (13.982, 2.096, 2.499)
C (14.655, 3.025, 1.670)
N (14.202, 3.127, 0.406)
C (13.218, 2.353, -0.091)
C (12.635, 1.363, 0.676)
C (14.981, 3.926, -0.589)
H (10.090, -3.909, 4.184)
H (8.906, -2.561, 4.367)
H (10.204, -2.945, 5.643)
H (9.956, -0.481, 5.096)
H (11.174, 1.339, 4.172)
H (13.364, -1.390, 1.692)
H (11.826, -3.224, 2.727)
H (14.324, 1.967, 3.516)
H (15.413, 3.717, 2.006)
H (12.945, 2.590, -1.109)
H (11.864, 0.780, 0.193)
H (15.548, 4.647, 0.000)
H (14.326, 4.322, -1.365)
H (15.641, 3.206, -1.072)
C (6.165, -3.012, 4.409)
N (5.817, -1.646, 3.764)
C (6.760, -0.712, 3.652)
C (6.513, 0.519, 2.950)
C (5.269, 0.824, 2.420)
C (4.304, -0.235, 2.594)
C (4.576, -1.395, 3.290)
C (4.972, 2.027, 1.672)
C (6.003, 2.583, 0.875)
C (5.795, 3.663, -0.015)
N (4.543, 4.174, 0.007)
C (3.556, 3.674, 0.747)
C (3.690, 2.544, 1.605)
C (4.388, 5.360, -0.864)
H (6.731, -2.796, 5.315)
H (6.737, -3.567, 3.665)
H (5.304, -3.590, 4.742)
H (7.736, -0.917, 4.066)
H (7.360, 1.186, 2.878)
H (3.297, 0.044, 2.320)
H (3.849, -2.175, 3.460)
H (7.005, 2.209, 1.030)
H (6.594, 4.106, -0.590)
H (2.625, 4.168, 0.511)
└──

[Reply]
H (0.477, -2.763, 5.141)
H (-0.211, -2.429, 3.529)
H (-1.954, -2.412, 5.867)
H (-2.459, -3.247, 4.349)
H (-1.547, -0.715, 4.402)
C (-2.737, 2.440, -0.404)
C (-1.285, 2.876, -0.666)
O (-0.378, 1.774, -0.592)
H (-3.267, 3.362, -0.681)
H (-2.951, 2.181, 0.645)
H (-3.167, 1.628, -0.981)
H (-0.972, 3.627, 0.087)
H (-1.177, 3.327, -1.641)
H (-0.354, 1.522, 0.370)
C (2.106, 3.449, -2.291)
C (3.132, 2.483, -1.684)
O (2.530, 1.396, -1.050)
H (1.490, 3.892, -1.515)
H (1.486, 2.802, -2.812)
H (2.537, 4.179, -3.006)
H (3.819, 3.014, -1.008)
H (3.671, 2.049, -2.525)
H (1.681, 1.722, -0.801)
C (5.132, -0.133, -1.912)
Cl (6.805, -0.779, -1.772)
Cl (4.126, -1.305, -2.805)
H (4.620, 0.112, -0.998)
H (5.266, 0.817, -2.523)
C (0.100, -2.480, -7.247)
Cl (-0.861, -0.993, -7.037)
Cl (1.608, -2.310, -8.107)
H (0.268, -2.841, -6.290)
H (-0.512, -3.194, -7.804)
C (1.024, -1.376, -1.237)
Cl (1.729, -1.611, 0.440)
Cl (1.063, -3.014, -2.045)
H (-0.003, -1.103, -1.285)
H (1.768, -0.678, -1.656)

Atom charges from the natural (NBO) analysis, given in e for atoms 1 to 6: number 1, C, carries -0.640; number 2, C, carries -0.072; number 3, O, carries -0.751; number 4, H, carries 0.219; number 5, H, carries 0.214; number 6, H, carries 0.215

---

2.
Below is a structure of composition C39H50AsF6N8O4 at a distorted geometry, with properties calculated with wB97M-V/def2-TZVPD.

HOMO energy in eV: -20.50
Orbital gap in Ha: 0.251
Charge: +5

Element x y z (Å)
N (9.310, 0.917, 2.198)
O (10.450, 1.154, 1.782)
O (9.126, -0.107, 2.722)
O (8.452, 1.689, 1.976)
C (11.931, 4.990, 1.724)
C (11.301, 3.942, 0.787)
O (11.891, 3.649, -0.227)
N (9.950, 3.387, 1.248)
H (10.221, 2.491, 1.625)
H (9.626, 3.932, 2.034)
C (8.801, 3.279, 0.217)
H (11.195, 5.721, 2.058)
H (12.756, 5.540, 1.271)
H (12.404, 4.352, 2.470)
H (8.535, 4.283, -0.114)
H (7.958, 2.756, 0.667)
H (9.202, 2.814, -0.684)
C (9.911, -2.915, 4.594)
N (10.854, -1.904, 3.957)
C (10.715, -0.648, 4.346)
C (11.538, 0.350, 3.934)
C (12.429, 0.114, 2.842)
C (12.666, -1.182, 2.489)
C (11.782, -2.188, 3.032)
C (13.048, 1.205, 2.008)
C (13.982, 2.096, 2.499)
C (14.655, 3.025, 1.670)
N (14.202, 3.127, 0.406)
C (13.218, 2.353, -0.091)
C (12.635, 1.363, 0.676)
C (14.981, 3.926, -0.589)
H (10.090, -3.909, 4.184)
H (8.906, -2.561, 4.367)
H (10.204, -2.945, 5.643)
H (9.956, -0.481, 5.096)
H (11.174, 1.339, 4.172)
H (13.364, -1.390, 1.692)
H (11.826, -3.224, 2.727)
H (14.324, 1.967, 3.516)
H (15.413, 3.717, 2.006)
H (12.945, 2.590, -1.109)
H (11.864, 0.780, 0.193)
H (15.548, 4.647, 0.000)
H (14.326, 4.322, -1.365)
H (15.641, 3.206, -1.072)
C (6.165, -3.012, 4.409)
N (5.817, -1.646, 3.764)
C (6.760, -0.712, 3.652)
C (6.513, 0.519, 2.950)
C (5.269, 0.824, 2.420)
C (4.304, -0.235, 2.594)
C (4.576, -1.395, 3.290)
C (4.972, 2.027, 1.672)
C (6.003, 2.583, 0.875)
C (5.795, 3.663, -0.015)
N (4.543, 4.174, 0.007)
C (3.556, 3.674, 0.747)
C (3.690, 2.544, 1.605)
C (4.388, 5.360, -0.864)
H (6.731, -2.796, 5.315)
H (6.737, -3.567, 3.665)
H (5.304, -3.590, 4.742)
H (7.736, -0.917, 4.066)
H (7.360, 1.186, 2.878)
H (3.297, 0.044, 2.320)
H (3.849, -2.175, 3.460)
H (7.005, 2.209, 1.030)
H (6.594, 4.106, -0.590)
H (2.625, 4.168, 0.511)